Please transcribe everything further down exactly.

- - -
A plane-wave DFT calculation with PBE-GGA was carried out for Pm3Dy3TmTe8 after structural relaxation.

**Calculated volume**: 478.73 Å³/f.u.
**D(E_F)**: 0.46 states/eV/atom
**Uncorrected energy**: -5.2362 eV per atom

Cell lengths 8.7618, 8.7618, 8.8001 Å; angles 119.86, 90.00, 120.00 degrees
Fractional coordinates of all 15 atoms:
Te: 0.2530 0.5059 0.2589
Dy: 0.5000 0.5000 0.5000
Te: 0.2567 0.0060 0.2553
Te: 0.7493 0.0060 0.2552
Te: 0.7470 0.4941 0.7411
Te: 0.7433 0.9940 0.7447
Te: 0.2507 0.9940 0.7448
Te: 0.7493 0.4985 0.2552
Tm: 0.0000 0.0000 0.5000
Te: 0.2507 0.5015 0.7448
Pm: 0.0000 0.5000 0.0000
Pm: 0.5000 0.5000 0.0000
Dy: 0.0000 0.5000 0.5000
Pm: 0.0000 0.0000 0.0000
Dy: 0.5000 0.0000 0.5000

A plane-wave DFT calculation with PBE-GGA was carried out for PmDyTm2Te6 after structural relaxation.

**Calculated volume**: 360.16 Å³/f.u.
**Uncorrected energy**: -5.0633 eV per atom

Cell lengths 7.7053, 7.7054, 8.2971 Å; angles 62.34, 62.34, 60.00 degrees
Fractional coordinates of all 10 atoms:
Tm: 0.5086 0.5086 0.4742
Te: 0.2381 0.9091 0.2465
Te: 0.1157 0.3998 0.7497
Tm: 0.0071 0.0071 0.9787
Te: 0.3998 0.7347 0.7497
Te: 0.7347 0.1157 0.7497
Dy: 0.3221 0.3221 0.0336
Te: 0.6063 0.2381 0.2465
Pm: 0.8200 0.8200 0.5400
Te: 0.9091 0.6063 0.2465

A plane-wave DFT calculation with PBE-GGA was carried out for Pm2DyTmTe5 after structural relaxation.

**Calculated volume**: 347.00 Å³/f.u.
**D(E_F)**: 0.58 states/eV/atom
**Uncorrected energy**: -4.5968 eV per atom

Cell lengths 5.4871, 5.4871, 11.5250 Å; angles 90.00, 90.00, 90.00 degrees
Site moments in Bohr magnetons follow the coordinates.
Fractional coordinates of all 9 atoms:
Pm: 0.5000 0.5000 0.6613  0.12
Pm: 0.5000 0.5000 0.3387  0.12
Te: 0.5000 0.0000 0.5000  0.00
Dy: 0.0000 0.0000 0.0000  0.01
Te: 0.0000 0.0000 0.7534  0.00
Te: 0.5000 0.5000 0.0000  0.01
Te: 0.0000 0.5000 0.5000  0.00
Te: 0.0000 0.0000 0.2466  0.00
Tm: 0.0000 0.0000 0.5000  0.02

A plane-wave DFT calculation with PBE-GGA was carried out for PmDy2Tm3Te6 after structural relaxation.

**Calculated volume**: 348.44 Å³/f.u.
**D(E_F)**: 0.52 states/eV/atom
**Uncorrected energy**: -5.0991 eV per atom

Cell lengths 4.3092, 8.7697, 9.7680 Å; angles 104.22, 102.74, 90.00 degrees
Fractional coordinates of all 12 atoms:
Pm: 0.5000 0.0000 0.0000
Dy: 0.1637 0.3269 0.3275
Te: 0.9994 0.2597 0.9988
Te: 0.6669 0.5842 0.3338
Te: 0.3331 0.4158 0.6662
Te: 0.6717 0.0802 0.3435
Tm: 0.5000 0.5000 0.0000
Dy: 0.8363 0.6731 0.6725
Te: 0.3283 0.9198 0.6565
Te: 0.0006 0.7403 0.0012
Tm: 0.1629 0.8307 0.3258
Tm: 0.8371 0.1693 0.6742

A plane-wave DFT calculation with PBE-GGA was carried out for PmDy2TmTe5 after structural relaxation.

**Calculated volume**: 351.96 Å³/f.u.
**D(E_F)**: 0.49 states/eV/atom
**Uncorrected energy**: -4.4877 eV per atom

Cell lengths 5.4863, 5.4863, 11.6932 Å; angles 90.00, 90.00, 90.00 degrees
Site moments in Bohr magnetons follow the coordinates.
Fractional coordinates of all 9 atoms:
Te: 0.0000 0.5000 0.5000  0.00
Pm: 0.0000 0.0000 0.0000  0.00
Te: 0.0000 0.0000 0.2507  0.00
Tm: 0.0000 0.0000 0.5000  0.02
Dy: 0.5000 0.5000 0.3516  0.19
Te: 0.5000 0.5000 0.0000  0.01
Te: 0.5000 0.0000 0.5000  0.00
Te: 0.0000 0.0000 0.7493  0.00
Dy: 0.5000 0.5000 0.6484  0.19

A plane-wave DFT calculation with PBE-GGA was carried out for Pm3DyTm2Te6 after structural relaxation.

**Calculated volume**: 359.63 Å³/f.u.
**D(E_F)**: 0.50 states/eV/atom
**Uncorrected energy**: -5.2004 eV per atom

Cell lengths 4.3400, 8.8975, 9.8859 Å; angles 104.69, 102.68, 90.00 degrees
Fractional coordinates of all 12 atoms:
Te: 0.3295 0.4257 0.6590
Dy: 0.5000 0.0000 0.0000
Te: 0.9961 0.7544 0.9922
Te: 0.3343 0.9085 0.6686
Te: 0.0039 0.2456 0.0078
Te: 0.6705 0.5743 0.3410
Pm: 0.5000 0.5000 0.0000
Te: 0.6657 0.0915 0.3314
Pm: 0.1643 0.8317 0.3287
Tm: 0.8345 0.6695 0.6690
Tm: 0.1655 0.3305 0.3310
Pm: 0.8357 0.1683 0.6713

A plane-wave DFT calculation with PBE-GGA was carried out for Pm2DyTmTe6 after structural relaxation.
- - -

A plane-wave DFT calculation with PBE-GGA was carried out for Pm3Dy3TmTe8 after structural relaxation.

**Calculated volume**: 478.73 Å³/f.u.
**D(E_F)**: 0.46 states/eV/atom
**Uncorrected energy**: -5.2362 eV per atom

Cell lengths 8.7618, 8.7618, 8.8001 Å; angles 119.86, 90.00, 120.00 degrees
Fractional coordinates of all 15 atoms:
Te: 0.2530 0.5059 0.2589
Dy: 0.5000 0.5000 0.5000
Te: 0.2567 0.0060 0.2553
Te: 0.7493 0.0060 0.2552
Te: 0.7470 0.4941 0.7411
Te: 0.7433 0.9940 0.7447
Te: 0.2507 0.9940 0.7448
Te: 0.7493 0.4985 0.2552
Tm: 0.0000 0.0000 0.5000
Te: 0.2507 0.5015 0.7448
Pm: 0.0000 0.5000 0.0000
Pm: 0.5000 0.5000 0.0000
Dy: 0.0000 0.5000 0.5000
Pm: 0.0000 0.0000 0.0000
Dy: 0.5000 0.0000 0.5000

A plane-wave DFT calculation with PBE-GGA was carried out for PmDyTm2Te6 after structural relaxation.

**Calculated volume**: 360.16 Å³/f.u.
**Uncorrected energy**: -5.0633 eV per atom

Cell lengths 7.7053, 7.7054, 8.2971 Å; angles 62.34, 62.34, 60.00 degrees
Fractional coordinates of all 10 atoms:
Tm: 0.5086 0.5086 0.4742
Te: 0.2381 0.9091 0.2465
Te: 0.1157 0.3998 0.7497
Tm: 0.0071 0.0071 0.9787
Te: 0.3998 0.7347 0.7497
Te: 0.7347 0.1157 0.7497
Dy: 0.3221 0.3221 0.0336
Te: 0.6063 0.2381 0.2465
Pm: 0.8200 0.8200 0.5400
Te: 0.9091 0.6063 0.2465

A plane-wave DFT calculation with PBE-GGA was carried out for Pm2DyTmTe5 after structural relaxation.

**Calculated volume**: 347.00 Å³/f.u.
**D(E_F)**: 0.58 states/eV/atom
**Uncorrected energy**: -4.5968 eV per atom

Cell lengths 5.4871, 5.4871, 11.5250 Å; angles 90.00, 90.00, 90.00 degrees
Site moments in Bohr magnetons follow the coordinates.
Fractional coordinates of all 9 atoms:
Pm: 0.5000 0.5000 0.6613  0.12
Pm: 0.5000 0.5000 0.3387  0.12
Te: 0.5000 0.0000 0.5000  0.00
Dy: 0.0000 0.0000 0.0000  0.01
Te: 0.0000 0.0000 0.7534  0.00
Te: 0.5000 0.5000 0.0000  0.01
Te: 0.0000 0.5000 0.5000  0.00
Te: 0.0000 0.0000 0.2466  0.00
Tm: 0.0000 0.0000 0.5000  0.02

A plane-wave DFT calculation with PBE-GGA was carried out for PmDy2Tm3Te6 after structural relaxation.

**Calculated volume**: 348.44 Å³/f.u.
**D(E_F)**: 0.52 states/eV/atom
**Uncorrected energy**: -5.0991 eV per atom

Cell lengths 4.3092, 8.7697, 9.7680 Å; angles 104.22, 102.74, 90.00 degrees
Fractional coordinates of all 12 atoms:
Pm: 0.5000 0.0000 0.0000
Dy: 0.1637 0.3269 0.3275
Te: 0.9994 0.2597 0.9988
Te: 0.6669 0.5842 0.3338
Te: 0.3331 0.4158 0.6662
Te: 0.6717 0.0802 0.3435
Tm: 0.5000 0.5000 0.0000
Dy: 0.8363 0.6731 0.6725
Te: 0.3283 0.9198 0.6565
Te: 0.0006 0.7403 0.0012
Tm: 0.1629 0.8307 0.3258
Tm: 0.8371 0.1693 0.6742

A plane-wave DFT calculation with PBE-GGA was carried out for PmDy2TmTe5 after structural relaxation.

**Calculated volume**: 351.96 Å³/f.u.
**D(E_F)**: 0.49 states/eV/atom
**Uncorrected energy**: -4.4877 eV per atom

Cell lengths 5.4863, 5.4863, 11.6932 Å; angles 90.00, 90.00, 90.00 degrees
Site moments in Bohr magnetons follow the coordinates.
Fractional coordinates of all 9 atoms:
Te: 0.0000 0.5000 0.5000  0.00
Pm: 0.0000 0.0000 0.0000  0.00
Te: 0.0000 0.0000 0.2507  0.00
Tm: 0.0000 0.0000 0.5000  0.02
Dy: 0.5000 0.5000 0.3516  0.19
Te: 0.5000 0.5000 0.0000  0.01
Te: 0.5000 0.0000 0.5000  0.00
Te: 0.0000 0.0000 0.7493  0.00
Dy: 0.5000 0.5000 0.6484  0.19

A plane-wave DFT calculation with PBE-GGA was carried out for Pm3DyTm2Te6 after structural relaxation.

**Calculated volume**: 359.63 Å³/f.u.
**D(E_F)**: 0.50 states/eV/atom
**Uncorrected energy**: -5.2004 eV per atom

Cell lengths 4.3400, 8.8975, 9.8859 Å; angles 104.69, 102.68, 90.00 degrees
Fractional coordinates of all 12 atoms:
Te: 0.3295 0.4257 0.6590
Dy: 0.5000 0.0000 0.0000
Te: 0.9961 0.7544 0.9922
Te: 0.3343 0.9085 0.6686
Te: 0.0039 0.2456 0.0078
Te: 0.6705 0.5743 0.3410
Pm: 0.5000 0.5000 0.0000
Te: 0.6657 0.0915 0.3314
Pm: 0.1643 0.8317 0.3287
Tm: 0.8345 0.6695 0.6690
Tm: 0.1655 0.3305 0.3310
Pm: 0.8357 0.1683 0.6713

A plane-wave DFT calculation with PBE-GGA was carried out for Pm2DyTmTe6 after structural relaxation.